At the risk of sounding bitter (because I am) I’m going to say what everyone else has been thinking.
Please stop asking people questions unless you are fully prepared to gracefully handle any response that you are given. And even if you feel that you personally are prepared to do so, stop asking questions that answering may unnecessarily wound the person who has to answer. Stop offering your unsolicited opinion on things that don’t impact you but do impact the person you’re putting the weight of your judgement upon.

-- Crystal structures, kept here for reference --
+++
For Ba2UP2O10, the GGA-PBE geometry in Alexandria gives the theoretical powder X-ray diffraction pattern in this record (Cu Kα, 1.54184 Å).
Neutral-atom scattering factors, no anomalous dispersion.

Cell and atoms:
```
data_Ba2UP2O10
_cell_length_a 6.8300
_cell_length_b 8.8206
_cell_length_c 9.2955
_cell_angle_alpha 106.37
_cell_angle_beta 94.85
_cell_angle_gamma 109.33
_space_group_name_H-M_alt 'P -1'
_space_group_IT_number 2
loop_
_space_group_symop_operation_xyz
'x,y,z'
'-x,-y,-z'
loop_
_atom_site_label
_atom_site_type_symbol
_atom_site_fract_x
_atom_site_fract_y
_atom_site_fract_z
_atom_site_occupancy
Ba1 Ba 0.1486 0.0463 0.2586 1
Ba2 Ba 0.1802 0.5770 0.8095 1
U1 U 0.5002 0.2527 0.7123 1
P1 P 0.2173 0.8231 0.5314 1
P2 P 0.2341 0.3094 0.0397 1
O1 O 0.0069 0.1953 0.0382 1
O2 O 0.0763 0.7270 0.6206 1
O3 O 0.1452 0.7376 0.3538 1
O4 O 0.2099 0.0077 0.5767 1
O5 O 0.2544 0.5019 0.1064 1
O6 O 0.2631 0.2866 0.8695 1
O7 O 0.3983 0.3819 0.6265 1
O8 O 0.3988 0.2721 0.1305 1
O9 O 0.4197 0.8634 0.1727 1
O10 O 0.4519 0.8384 0.5585 1
```

Main lines, in order of rising 2θ (5 to 70 degrees two-theta):
2θ = 12.42°, 7.128 Å, intensity 57, hkl 0 1 -1; 2θ = 20.34°, 4.367 Å, intensity 100, hkl 1 1 -1; 2θ = 21.75°, 4.085 Å, intensity 50, hkl 1 -2 0; 2θ = 26.12°, 3.411 Å, intensity 66, hkl 1 1 1; 2θ = 26.44°, 3.370 Å, intensity 43, hkl 1 -2 2; 2θ = 27.48°, 3.246 Å, intensity 55, hkl -2 1 1

---

For PrTa4S8, the GGA-PBE geometry in Alexandria gives the theoretical powder X-ray diffraction pattern in this record (Cu Kα, 1.54184 Å).
Neutral-atom scattering factors, no anomalous dispersion.

Cell and atoms:
```
data_PrTa4S8
_cell_length_a 6.8206
_cell_length_b 6.8206
_cell_length_c 20.8233
_cell_angle_alpha 90.00
_cell_angle_beta 90.00
_cell_angle_gamma 120.00
_space_group_name_H-M_alt 'R -3 m'
_space_group_IT_number 166
_space_group_name_Hall '-R 3 2"'
loop_
_atom_site_label
_atom_site_type_symbol
_atom_site_fract_x
_atom_site_fract_y
_atom_site_fract_z
_atom_site_occupancy
Pr1 Pr 0.0000 0.0000 0.0000 1
Ta1 Ta 0.0000 0.0000 0.5000 1
Ta2 Ta 0.0000 0.5000 0.5000 1
S1 S 0.0000 0.0000 0.2399 1
S2 S 0.0096 0.5048 0.2410 1
```

Main lines, in order of rising 2θ (5 to 70 degrees two-theta):
2θ = 12.75°, 6.941 Å, intensity 100, hkl 0 0 3; 2θ = 30.57°, 2.924 Å, intensity 31, hkl 0 2 1; 2θ = 31.49°, 2.841 Å, intensity 32, hkl 2 0 2; 2θ = 34.93°, 2.569 Å, intensity 87, hkl 0 2 4; 2θ = 46.51°, 1.953 Å, intensity 37, hkl 2 0 8; 2θ = 53.76°, 1.705 Å, intensity 25, hkl 2 2 0

---

For Sr8GaHg2, the GGA-PBE geometry in Alexandria gives the theoretical powder X-ray diffraction pattern in this record (Cu Kα, 1.54184 Å).
Neutral-atom scattering factors, no anomalous dispersion.

Cell and atoms:
```
data_Sr8GaHg2
_cell_length_a 9.8939
_cell_length_b 14.9589
_cell_length_c 6.9226
_cell_angle_alpha 90.00
_cell_angle_beta 110.65
_cell_angle_gamma 90.00
_space_group_name_H-M_alt 'C 1 m 1'
_space_group_IT_number 8
loop_
_space_group_symop_operation_xyz
'x,y,z'
'x,-y,z'
'x+1/2,y+1/2,z'
+++

Stop asking people when they’re going to have kids. Stop saying “oh, you’ll change your mind eventually” when they say they won’t.
Stop asking couples that aren’t engaged when they’re going to get married.
Stop saying “oh wow, you’ve lost so much weight!”
Stop using the words “only” or “just” to describe anyone who isn’t as able-bodied or minded as you.
Stop saying “aw, but I thought you two were perfect together!” or “it’s fine, I always hated them anyway” when a couple breaks up.
Stop telling people that they’re wrong for choosing medication as an option for treating a physical or mental illness.
Maybe you’ve been asked these questions or had these statements plopped unceremoniously into your lap as though they’re at all beneficial to your well-being, and you’re nodding vigorously at your screen.
Or maybe you’re shaking your head, prickling at my insinuation that you may need to reconsider your conversational tactics.
It’s not about censorship, or “political correctness”. It’s about empathy, and learning, and the knowledge that just because something has been considered acceptable in the past doesn’t mean that it should have been.
At the very least, it’s about me eventually snapping and screaming like a banshee in public and embarrassing all of us.

Not everyone you come into contact with shares life experiences with you. And I mean that in more than one way; not everyone you come into contact with has had the same life experiences as you, and not everyone has shared all of their life experiences with you, even if you think they have.
What’s the worst news you’ve ever received? You know how days, weeks, months, years later – the mention of it, or the sight of something that reminds you of it, can still feel like your stomach is being wrenched into your toes?
Now imagine someone bringing up that tragedy, that heartbreak, that gut-punch, in the middle of a casual conversation in the form of a joke or an offhand comment.
You might not know what someone is going through, but that’s all the more reason to stop behaving like you do.
Stop asking why she hasn’t had kids yet. Stop asking her when it’s going to happen. Stop bringing every conversation with that couple back to filling up their new house with children while they’re going over the costs of adoption or IVF, or recovering from a loss. Stop operating under the assumption that the person you’re talking to couldn’t possibly have endometriosis, PCOS, or any other myriad of possible causes for not having biological offspring or simply do not want to have them. Stop acting like it’s their obligation to explain it to you.
I personally will be thrilled to someday be the “cool aunt” type to any child that a friend or relative of mine has. But the idea of being pregnant myself is absolutely horrific to me. Do not try to change my mind – I do not care.

“Okay, I get it,” you’re saying now, maybe coming to terms with the inappropriateness of past discussions, “but I did hate his girlfriend from the start, so I don’t know why I shouldn’t say that once they’ve broken up.”
Because maybe he’s not over her. Because maybe it was just a long few weeks and they’ve still been talking and now that they’re getting back together, your disapproval will hang over his head like a cloud.
Or maybe she was abusive, and he’s still coming to terms with what he went through. And maybe your reminder that you despised her from the first moment you laid eyes on her plays right into that mental manipulation that went with the abuse – the gaslighting that caused him to doubt his own judgement.
Or maybe it’s just a really mean thing to say.

The same logic applies to anything that really isn’t your business. No matter the situation, no matter the person – we only ever know as much about a person as they let us know. And maybe your question or remark will glance off them without leaving a mark, but do you really want to be responsible for the blows that land hard? And for what? Do you really need the answers you’re searching for?
I’ve been on antidepressants since 2009. And you would not like the person that I am without them. Because you wouldn’t know her.
So stop preaching about how natural remedies are the only correct ones as though they’re applicable in every situation. Stop telling me I just need to get some sun as though that’s possible from the recesses of my bed. Don’t get me wrong – I’m more than willing to discuss and try alternate methods of treatment, but a) not everyone is, and that’s fine, and b) I’m more comfortable with the opinions of multiple doctors over the course of 10+ years than I am with that of someone with a degree in Facebook statuses and Google searches.

Inserted here: calculated crystals:
********
No. 1
Computed powder X-ray diffraction pattern
Compound: LiV3F10
Radiation: Cu Kα (weighted mean of Kα1 and Kα2)
Structure: the GGA+U geometry in the Materials Project
Intensities are scaled so that the largest is 100.

Largest 10 diffraction maxima, in order of falling intensity, 2θ from 5° to 70°:
Position (°2θ), I_rel
22.30, 100
18.60, 52
27.26, 46
45.49, 34
51.08, 18
14.67, 18
46.13, 17
46.66, 14
11.37, 13
29.59, 12

Crystal structure
Lattice parameters (Å, degrees): 3.987 6.038 15.571 90.00 90.73 90.00
Space group Pc (No. 7)
Asymmetric unit:
Li: 0.000 0.008 0.000 [2 per cell]
V: 0.072 0.003 0.245 [2 per cell]
V: 0.082 0.443 0.610 [2 per cell]
V: 0.087 0.464 0.893 [2 per cell]
F: 0.016 0.106 0.619 [2 per cell]
F: 0.064 0.135 0.868 [2 per cell]
F: 0.065 0.268 0.326 [2 per cell]
F: 0.067 0.316 0.010 [2 per cell]
F: 0.087 0.271 0.169 [2 per cell]
F: 0.106 0.298 0.487 [2 per cell]
F: 0.121 0.342 0.736 [2 per cell]
F: 0.572 0.002 0.246 [2 per cell]
F: 0.581 0.446 0.603 [2 per cell]
F: 0.583 0.457 0.892 [2 per cell]


No. 2
Computed powder X-ray diffraction pattern
Compound: LiVF5
Radiation: Cu Kα (weighted mean of Kα1 and Kα2)
Structure: the GGA+U geometry in the Materials Project
Intensities are scaled so that the largest is 100.

Largest 10 diffraction maxima, in order of falling intensity, 2θ from 5° to 70°:
Position (°2θ), I_rel
17.67, 100
25.09, 46
45.15, 29
28.01, 22
28.61, 12
21.13, 10
22.52, 9
44.42, 8
40.21, 8
33.29, 7

Crystal structure
Lattice parameters (Å, degrees): 5.226 10.057 6.646 90.00 106.52 90.00
Space group P2_1/c (No. 14)
Asymmetric unit:
Li: 0.055 0.243 0.384 [4 per cell]
V: 0.446 0.031 0.744 [4 per cell]
F: 0.157 0.584 0.195 [4 per cell]
F: 0.217 0.176 0.675 [4 per cell]
F: 0.248 0.635 0.689 [4 per cell]
F: 0.372 0.089 0.021 [4 per cell]
F: 0.397 0.092 0.403 [4 per cell]


No. 3
Computed powder X-ray diffraction pattern
Compound: Li3VF6
Radiation: Cu Kα (weighted mean of Kα1 and Kα2)
Structure: the GGA+U geometry in the Materials Project
Intensities are scaled so that the largest is 100.

Largest 10 diffraction maxima, in order of falling intensity, 2θ from 5° to 70°:
Position (°2θ), I_rel
21.06, 100
17.83, 96
23.01, 96
46.76, 96
37.45, 62
27.29, 55
37.24, 50
20.49, 47
57.04, 36
47.34, 34

Crystal structure
Lattice parameters (Å, degrees): 5.168 8.669 5.324 90.00 110.87 90.00
Space group P2_1 (No. 4)
Asymmetric unit:
Li: 0.081 0.000 0.011 [2 per cell]
Li: 0.298 0.997 0.547 [2 per cell]
Li: 0.403 0.675 0.894 [2 per cell]
V: 0.248 0.336 0.518 [2 per cell]
F: 0.144 0.499 0.721 [2 per cell]
F: 0.153 0.839 0.724 [2 per cell]
F: 0.249 0.166 0.773 [2 per cell]
F: 0.295 0.486 0.263 [2 per cell]
F: 0.324 0.171 0.296 [2 per cell]
F: 0.358 0.863 0.268 [2 per cell]


No. 4
Computed powder X-ray diffraction pattern
Compound: LiVF5
Radiation: Cu Kα (weighted mean of Kα1 and Kα2)
Structure: the GGA+U geometry in the Materials Project
Intensities are scaled so that the largest is 100.
********
Here the entry continues:

I could go on. There are so many things that people really need to stop commenting on: eating habits, visible or invisible disabilities or disorders, medical concerns, etc. And I just know that someone reading this (probably recommended by a friend or family member) is scoffing and going “so what am I allowed to talk about?”
First of all, chill.
Secondly of all, there’s still plenty to talk about. I talk to people all the time and (for the most part; I am still learning too) avoid stomping all over their grief or strife with ease. Simple, non-invasive, open-ended questions such as, “how are you doing?”, or “what have you been up to lately?” are still up for grabs. If that is not specific enough for you, it is a great segue into the second half of this (very long) post: Things to Do More.
Compliment people on things they can control – their clothing, their hairstyle, their friendliness.
Say “this made me think of you!”

Have conversations about hobbies and favorite movies and things that are not so intensely personal that it’s the emotional equivalent of a roundhouse kick to the skull.
Smile at people (with your eyes).
Be unironically excited about things that you love. Share that enthusiasm with those around you.
Share all those unrelated tidbits of information that you think are neat but never have a real reason to talk about.

Be open to learning – and to teaching yourself rather than expecting others to do it for you.
Be happy for people when they are happy, and support them when they are sad.
Get comfortable saying, “that’s not really anybody else’s business”, or “let’s change the subject”.
Say the nice thing to the person you don’t know that well. You can preface it with “sorry if this is weird, but -“

Replace all the little searches for gossip with genuine human connection (and that includes online) and your relationships with people you know and people you don’t will be better for it.
Everyone has their own smaller reality within the greater reality we all live in. What you see is so rarely all there is.
So be empathetic, be compassionate, and when all else fails:

Great post! Along the lines of “You’ve lost so much weight”, is “you look so SKINNY” because would you really say the opposite and tell someone they look fat?!? Why not mention how healthy they look or ask if they’re feeling good. By the way, Payton, I really like how you bring your thoughts to life. Thanks for sharing with us❣️
Thank you for this PSA. Also, don’t ask a woman if she is pregnant unless she appears to be in active labor and crowning. In which case, call 911 and a towel to catch the baby.
Great post! There really are so many ways for all of us to be more considerate and authentic.
Love this one! So correct on all the above and I will add that you (and your mom) are both queens of “this reminded me of you”